It remains to work out how many lines below have the word "F5" in them; a number is enough.

/*
No. 1
For Nd4CdAu5, a DFT-relaxed cell (PBE, Alexandria) gives the theoretical XRD peak list in this record (Cu Ka).

Most intense lines, 2θ from 10° to 90°, sorted by position:
| Position (°2θ) | I (rel.) |
| --- | --- |
| 34.5 | 55 |
| 34.7 | 100 |
| 49.5 | 20 |
| 61.9 | 38 |
| 62.4 | 15 |
| 73.2 | 9 |

Cell and atoms:
a = 3.681 Å, b = 3.681 Å, c = 18.158 Å
α = 90.00°, β = 90.00°, γ = 90.00°
Element x y z (fractional)
1 Nd 0.000 0.000 0.104
2 Nd 0.000 0.000 0.314
3 Nd 0.000 0.000 0.686
4 Nd 0.000 0.000 0.896
5 Cd 0.000 0.000 0.500
6 Au 0.500 0.500 0.000
7 Au 0.500 0.500 0.206
8 Au 0.500 0.500 0.410
9 Au 0.500 0.500 0.590
10 Au 0.500 0.500 0.794

No. 2
For PrNi6Rh2, a DFT-relaxed cell (PBE, Alexandria) gives the theoretical XRD peak list in this record (Cu Ka).

Most intense lines, 2θ from 10° to 90°, sorted by position:
| Position (°2θ) | I (rel.) |
| --- | --- |
| 29.0 | 45 |
| 33.9 | 21 |
| 37.6 | 100 |
| 42.8 | 80 |
| 43.3 | 50 |
| 63.2 | 21 |

Cell and atoms:
a = 6.505 Å, b = 6.505 Å, c = 6.505 Å
α = 142.50°, β = 124.39°, γ = 69.01°
Element x y z (fractional)
1 Pr 0.000 0.000 0.000
2 Ni 0.088 0.284 0.803
3 Ni 0.314 0.500 0.814
4 Ni 0.481 0.284 0.197
5 Ni 0.519 0.716 0.803
6 Ni 0.686 0.500 0.186
7 Ni 0.912 0.716 0.197
8 Rh 0.377 0.877 0.500
9 Rh 0.623 0.123 0.500

No. 3
For RbSm2Ag3Te5, a DFT-relaxed cell (PBE, Alexandria) gives the theoretical XRD peak list in this record (Cu Ka).

Most intense lines, 2θ from 10° to 90°, sorted by position:
| Position (°2θ) | I (rel.) |
| --- | --- |
| 25.8 | 76 |
| 27.1 | 81 |
| 31.9 | 100 |
| 35.1 | 68 |
| 38.9 | 95 |
| 42.6 | 67 |

Cell and atoms:
a = 8.456 Å, b = 8.456 Å, c = 18.651 Å
α = 90.00°, β = 90.00°, γ = 148.25°
Element x y z (fractional)
1 Rb 0.058 0.942 0.750
2 Rb 0.942 0.058 0.250
3 Sm 0.189 0.811 0.094
4 Sm 0.189 0.811 0.406
5 Sm 0.811 0.189 0.594
6 Sm 0.811 0.189 0.906
7 Ag 0.336 0.664 0.750
8 Ag 0.412 0.588 0.028
9 Ag 0.412 0.588 0.472
10 Ag 0.588 0.412 0.528
11 Ag 0.588 0.412 0.972
12 Ag 0.664 0.336 0.250
13 Te 0.174 0.826 0.574
14 Te 0.174 0.826 0.926
15 Te 0.260 0.740 0.250
16 Te 0.441 0.559 0.622
17 Te 0.441 0.559 0.878
18 Te 0.559 0.441 0.122
19 Te 0.559 0.441 0.378
20 Te 0.740 0.260 0.750
21 Te 0.826 0.174 0.074
22 Te 0.826 0.174 0.426

No. 4
For Ti3S4O2, a DFT-relaxed cell (PBE, Alexandria) gives the theoretical XRD peak list in this record (Cu Ka).

Most intense lines, 2θ from 10° to 90°, sorted by position:
| Position (°2θ) | I (rel.) |
| --- | --- |
| 13.8 | 100 |
| 32.7 | 31 |
| 37.8 | 27 |
| 40.5 | 25 |
| 46.9 | 24 |
| 58.4 | 19 |

Cell and atoms:
a = 3.162 Å, b = 3.162 Å, c = 19.201 Å
α = 90.00°, β = 90.00°, γ = 120.00°
Element x y z (fractional)
1 Ti 0.000 0.000 0.000
2 Ti 0.000 0.000 0.332
3 Ti 0.667 0.333 0.689
4 S 0.000 0.000 0.608
5 S 0.000 0.000 0.770
6 S 0.667 0.333 0.251
7 S 0.667 0.333 0.413
8 O 0.667 0.333 0.058
9 O 0.667 0.333 0.942

----------

(1)
AuO2F6: simulated powder XRD pattern (copper Kα), based on a DFT-relaxed cell (GGA-PBE, the Materials Project).

```
data_AuO2F6
_chemical_formula_sum 'Au1 O2 F6'
_space_group_name_H-M_alt 'P 1'
_space_group_IT_number 1
_cell_length_a 5.2534
_cell_length_b 5.7942
_cell_length_c 5.7987
_cell_angle_alpha 89.37
_cell_angle_beta 73.06
_cell_angle_gamma 75.76
loop_
_space_group_symop_operation_xyz
'x,y,z'
loop_
_atom_site_label
_atom_site_type_symbol
_atom_site_fract_x
_atom_site_fract_y
_atom_site_fract_z
_atom_site_occupancy
Au1 Au 0.0000 0.0000 0.0000 1
O1 O 0.2950 0.2944 0.3862 1
O2 O 0.7307 0.6840 0.6137 1
F1 F 0.0969 0.3761 0.2795 1
F2 F 0.2414 0.0312 0.6821 1
F3 F 0.3082 0.7721 0.0623 1
F4 F 0.6917 0.2292 0.9387 1
F5 F 0.7623 0.9642 0.3179 1
F6 F 0.9319 0.6027 0.7175 1
```

Principal peaks in the range 5° ≤ 2θ ≤ 70°, sorted by position:
(0 1 0), d = 5.604 Å, intensity 100
(0 0 1), d = 5.535 Å, intensity 81
(1 0 0), d = 4.861 Å, intensity 84
(1 0 1), d = 4.351 Å, intensity 36
(1 1 0), d = 4.244 Å, intensity 32
(0 1 -1), d = 4.074 Å, intensity 62
(0 1 1), d = 3.815 Å, intensity 32
*/

1